プライバシーポリシー/ Privacy policy
(1) 利用目的
OISCは個人情報を、契約の履行、当社からの商品・サービス等のご案内、アンケートの依頼および社内における調査・研究資料として利用させていただきす。この目的以外に利用致しません。 ただし、法的な要請、ご本人の同意がある場合、またはOISCの安全性の確保の必要がある場合は、この限りではありません。
(2) 個人情報が登録いただけない場合の制限 個人情報の一部または全部が登録いただけない場合、サービスの一部または全部が利用できなくなることがあります。
(3) Cookieの使用について OISCでは、お客様のプライバシーの保護、利便性の向上、および統計データの取得のため、Cookie(クッキー)を使用します。 ただし、Cookieには個人情報は一切書き込まれません。
(4) 個人情報の開示・訂正・利用停止等の対応 OISCが保有するご自身の個人情報について開示を請求することができます。 またその結果、必要な場合は訂正された場合、合理的な範囲で適切に対応させていただきます。 対応窓口までお申し出ください。
Privacy policy for the Oxford International Study Centre (OISC)
This policy explains what information we gather when you visit OISC’s website, and explains how that information is used. It is important for you to appreciate that the OISC website provides extensive links to other independent sites. This policy applies only to direct accesses to the central web site - URLs starting http://www.oxintstudycentre.com. You will need to consult the appropriate information on other sites for information on their policies. Any changes to this privacy policy will be posted on this page.
Data collected
In common with most web sites, this site automatically logs certain information about every request made of it (see below for more details). This information is used for system administration, for bug tracking, and for producing usage statistics. The logged information may be kept indefinitely. Relevant subsets of this data may be passed to computer security teams as part of investigations of computer misuse involving this site or other computing equipment in the centre. Data may be passed to the administrators of other computer systems to enable investigation of problems accessing this site or of system misconfigurations. Data may incidentally be included in information passed to contractors and computer maintenance organisations working for OISC, in which case it will be covered by appropriate non-disclosure agreements. Otherwise the logged information is not passed to any third party except if required by law. Summary statistics are extracted from this data and some of these may be made publicly available, but those that are do not include information from which individuals could be identified. You should appreciate that a log is a record of what a server sees, not necessarily what was initially sent. If a request is sent via a proxy the log file will show the proxy's address. If someone has forged your address the log file will show your address. This site may use web "cookies" as part of user authentication (login) and to store information needed by other facilities. This site runs web traffic analytics, which uses cookies for tracking visitors to the site. This is to gain more complete data on site use and will support the ongoing web review.
== These materials data were left in the page by mistake ==
<<<
The following is a DFT calculation (PBE) of NaH4CNO2 after structural relaxation.

POSCAR file:
```
NaH4CNO2
1.0
6.153 0.000 0.000
0.000 10.891 0.000
-1.297 0.000 6.704
Na H C N O
4 16 4 4 8
Direct
0.059 0.150 0.435
0.059 0.350 0.935
0.941 0.650 0.065
0.941 0.850 0.565
0.182 0.057 0.819
0.182 0.443 0.319
0.229 0.705 0.413
0.229 0.795 0.913
0.354 0.512 0.216
0.354 0.988 0.716
0.373 0.739 0.777
0.373 0.761 0.277
0.627 0.239 0.723
0.627 0.261 0.223
0.646 0.012 0.284
0.646 0.488 0.784
0.771 0.205 0.087
0.771 0.295 0.587
0.818 0.557 0.681
0.818 0.943 0.181
0.257 0.157 0.122
0.257 0.343 0.622
0.743 0.657 0.378
0.743 0.843 0.878
0.385 0.089 0.216
0.385 0.411 0.716
0.615 0.589 0.284
0.615 0.911 0.784
0.198 0.018 0.693
0.198 0.482 0.193
0.224 0.734 0.807
0.224 0.766 0.307
0.776 0.234 0.693
0.776 0.266 0.193
0.802 0.518 0.807
0.802 0.982 0.307
```

VASP energy = -5.405 eV per atom
energy above the lowest structure with this stoichiometry = 0.0432 eV/atom
V = 12.48 Å³/atom
formation energy = -7.67 eV/f.u.
density = 1257 kg/m³

The following is a DFT calculation (PBE) of BaSrCuBiO6 after structural relaxation.

POSCAR file:
```
BaSrCuBiO6
1.0
0.000 4.155 4.155
4.155 0.000 4.155
4.155 4.155 0.000
Ba Sr Cu Bi O
1 1 1 1 6
Direct
0.000 0.000 0.000
0.500 0.500 0.500
0.250 0.250 0.250
0.750 0.750 0.750
0.010 0.010 0.490
0.010 0.490 0.010
0.010 0.490 0.490
0.490 0.010 0.010
0.490 0.010 0.490
0.490 0.490 0.010
```

VASP energy = -5.668 eV per atom
V = 14.35 Å³/atom
formation energy = -19.52 eV/f.u.
density = 6870 kg/m³

The following is a DFT calculation (PBE) of SrZnP2H2O8 after structural relaxation.

POSCAR file:
```
SrZnP2H2O8
1.0
7.303 0.000 0.000
-1.447 7.763 0.000
-2.370 -1.495 7.427
Sr Zn P H O
2 2 4 4 16
Direct
0.097 0.020 0.278
0.903 0.980 0.722
0.092 0.524 0.281
0.908 0.476 0.719
0.228 0.324 0.979
0.242 0.782 0.660
0.758 0.218 0.340
0.772 0.676 0.021
0.411 0.825 0.813
0.413 0.352 0.955
0.587 0.648 0.045
0.589 0.175 0.187
0.062 0.710 0.720
0.073 0.311 0.790
0.184 0.143 0.032
0.207 0.952 0.591
0.236 0.483 0.117
0.275 0.640 0.525
0.387 0.858 0.213
0.409 0.282 0.530
0.591 0.718 0.470
0.613 0.142 0.787
0.725 0.360 0.475
0.764 0.517 0.883
0.793 0.048 0.409
0.816 0.857 0.968
0.927 0.689 0.210
0.938 0.290 0.280
```

VASP energy = -5.564 eV per atom
V = 15.04 Å³/atom
formation energy = -23.24 eV/f.u.
density = 2721 kg/m³

* * * * *

## BaNdMnCoO5 (PBE with a Hubbard U)

Data for crystalline BaNdMnCoO5 at its relaxed geometry.

## Properties
Corrected total energy (MP2020 scheme), eV per atom: -7.857
Crystal system: tetragonal
Total DFT energy (no corrections), eV for the cell shown: -64.0
Calculated density, Mg/m³: 6.3
V, Å³ per atom: 13.88
Calculated formation energy, meV/atom: -2557

Lattice parameters (Å, degrees): 3.980 3.980 7.888 90.00 90.00 90.00
Fractional coordinates of all 9 atoms:
Ba1 0.000 0.000 0.000
Nd1 0.000 0.000 0.516
Mn1 0.500 0.500 0.267
Co1 0.500 0.500 0.748
O1 0.000 0.500 0.320
O2 0.000 0.500 0.702
O3 0.500 0.000 0.320
O4 0.500 0.000 0.702
>>>
== End of the materials data ==
Logged data
The following data is automatically logged for each request:
- The name or network address of the computer making the request. Note that under some (but not all) circumstances it may be possible to infer from this the identity of the person making the request. Note also that the data recorded may be that of a web proxy rather than that of the originating client
The username, when known during authenticated (logged in) access to
the site
The date and time of connection
The HTTP request, which contains the identification of the document
## Misplaced calculated crystals
-- begin --
(1)
A plane-wave DFT calculation with PBE-GGA was carried out for a relaxed structure of MnTe4H18N6.

Properties
M_tot = 1.04 μB per formula unit
ρ = 2.617 Mg/m³
Formation energy from the elements = -0.332 eV/atom
DFT total energy = -140.28 eV/f.u.

```
MnTe4H18N6
1.0
18.656 0.000 0.000
0.000 9.076 0.000
0.000 7.799 10.006
Mn Te H N
4 16 72 24
Cartesian
15.744 8.403 2.063
12.240 12.302 7.066
2.912 8.471 7.942
6.416 4.572 2.939
12.454 2.940 1.814
15.530 6.839 6.817
6.202 13.934 8.192
3.126 10.035 3.189
10.343 1.187 1.171
17.641 5.086 6.174
8.313 15.687 8.835
1.015 11.788 3.832
10.093 8.464 3.286
17.891 12.363 8.289
8.563 8.410 6.720
0.765 4.511 1.717
11.308 5.906 2.576
16.676 9.806 7.579
7.348 10.968 7.429
1.980 7.068 2.427
13.538 9.309 0.611
14.445 13.208 5.614
5.117 7.565 9.394
4.211 3.666 4.391
14.347 16.071 9.614
13.637 12.172 4.611
4.309 0.803 0.392
5.019 4.703 5.395
13.324 7.693 0.792
14.660 11.592 5.794
5.332 9.182 9.214
3.996 5.282 4.211
14.535 8.846 4.578
13.449 12.745 9.581
4.121 8.029 5.427
5.207 4.129 0.425
13.675 9.731 3.452
14.309 13.630 8.455
4.981 7.143 6.554
4.347 3.244 1.551
13.409 8.118 3.621
14.575 12.017 8.623
5.247 8.756 6.385
4.081 4.857 1.382
15.590 6.022 3.542
12.394 9.921 8.545
3.066 10.852 6.463
6.262 6.953 1.460
14.543 5.832 2.292
13.441 9.731 7.295
4.113 11.043 7.714
5.215 7.143 2.711
16.175 5.576 2.071
11.809 9.475 7.074
2.481 11.298 7.935
6.847 7.399 2.932
17.709 9.450 3.778
10.275 13.349 8.781
0.947 7.424 6.227
8.381 3.525 1.225
16.965 8.222 4.577
11.019 12.121 9.580
1.691 8.653 5.429
7.637 4.753 0.426
18.132 7.909 3.436
9.852 11.808 8.439
0.524 8.965 6.570
8.804 5.066 1.567
17.137 16.323 9.637
10.846 12.423 4.634
1.518 0.552 0.369
7.810 4.451 5.372
18.165 7.902 0.791
9.818 11.801 5.794
0.491 8.973 9.215
8.837 5.073 4.212
17.094 6.934 0.016
10.890 10.833 5.019
1.562 9.940 9.990
7.766 6.041 4.987
16.284 1.703 0.579
11.700 5.602 5.582
2.372 15.172 9.426
6.956 11.272 4.423
15.320 2.103 1.848
12.664 6.002 6.851
3.336 14.772 8.158
5.992 10.872 3.155
16.949 1.912 2.076
11.035 5.811 7.079
1.707 14.963 7.930
7.621 11.063 2.927
14.029 8.407 0.575
13.955 12.307 5.578
4.627 8.467 9.431
4.701 4.568 4.428
14.146 8.836 3.631
13.838 12.735 8.634
4.510 8.038 6.375
4.818 4.139 1.372
15.482 6.171 2.533
12.502 10.071 7.536
3.174 10.703 7.473
6.154 6.804 2.470
17.320 8.508 3.655
10.664 12.407 8.658
1.336 8.367 6.351
7.992 4.467 1.348
17.205 7.871 0.421
10.779 11.770 5.424
1.451 9.004 9.585
7.877 5.104 4.582
16.133 1.532 1.586
11.851 5.431 6.588
2.523 15.343 8.420
6.805 11.443 3.417
```

---

(2)
A plane-wave DFT calculation with PBE-GGA was carried out for a relaxed structure of Pr2Fe14C.

Properties
M_tot = 30.61 μB per formula unit
ρ = 7.751 Mg/m³
Formation energy from the elements = 0.002 eV/atom
DFT total energy = -137.34 eV/f.u.

```
Pr2Fe14C
1.0
-2.407 8.440 -0.004
-4.689 -1.341 -7.297
-9.569 -2.725 6.650
Pr Fe C
8 56 4
Cartesian
-8.928 -0.366 -2.229
-7.737 4.740 1.578
-1.852 1.853 -1.906
-5.244 5.246 -5.396
-9.343 3.198 -1.366
-- stop --
The status code of the request (success or failure
The number of data bytes sent in response
The contents of the HTTP Referrer header supplied by the
- The content of the HTTP User-Agent header supplied by the browser
Logging of additional data may be enabled temporarily from time to time for specific purposes. In addition, the computers on which the web site is hosted keep records of attempts (authorised and unauthorised) to use them for purposes other than access to the web server. This data typically includes the date and time of the attempt, the service to which access was attempted, the name or network address of the computer making the connection, and may include details of what was done or was attempted to be done.
Access to personal data
For the purpose of the UK Data Protection Act 1998, the 'Data Controller' for the processing of data collected by this site is Oxford International Study Centre and the point of contact for subject access requests is the Data Protection Officer at 7 St. Aldate’s Oxford OX1 1BS; tel.01865 201009. Oxford International Study Centre is also Data Controller in respect of any personal data served as content by this site.
Ben Llewelyn E-mail: admin2@oxinstudycentre.com TEL: +44 (1865) 201009 (窓口時間 英国時間 9:00~17:00) Fax: +44 (1865) 201006 Post: Oxford International Study Centre, 7 St Aldates, Oxford OX1 1BS |